[Brief]
Find "5.877" and "3.602 -1.399" in the entries below, and return these two lines and those between.

[Source]
{
  "formula": "Li4Pm3PuS8",
  "functional": "PBE",
  "state": "optimized geometry",
  "e_form_raw_ev_per_atom": -1.7216,
  "space_group": "R-3m, No. 166",
  "total_energy_ev_per_atom": -6.0503,
  "lattice_angstrom": [[4.017, 2.319, 6.188], [-4.017, 2.319, 6.188], [0.000, -4.638, 6.188]],
  "species": ["Li", "Li", "Li", "Li", "Pm", "Pm", "Pm", "Pu", "S", "S", "S", "S", "S", "S", "S", "S"],
  "frac_coords": [[0.000, 0.000, 0.000], [0.000, 0.500, 0.500], [0.500, 0.000, 0.500], [0.500, 0.500, 0.000], [0.000, 0.000, 0.500], [0.000, 0.500, 0.000], [0.500, 0.000, 0.000], [0.500, 0.500, 0.500], [0.251, 0.251, 0.745], [0.251, 0.745, 0.251], [0.252, 0.252, 0.252], [0.255, 0.749, 0.749], [0.745, 0.251, 0.251], [0.748, 0.748, 0.748], [0.749, 0.255, 0.749], [0.749, 0.749, 0.255]]
}

=====

{
  "formula": "PuPaCuPt",
  "functional": "PBE",
  "state": "optimized geometry",
  "space_group": "F-43m, No. 216",
  "formation_energy_kj_per_mol_fu": -196,
  "relative_energy_ev_per_atom": 0.000,
  "total_energy_ev_per_atom": -8.9995,
  "lattice_angstrom": [[0.000, 3.361, 3.361], [3.361, 0.000, 3.361], [3.361, 3.361, 0.000]],
  "species": ["Pu", "Pa", "Cu", "Pt"],
  "frac_coords": [[0.000, 0.000, 0.000], [0.250, 0.250, 0.250], [0.750, 0.750, 0.750], [0.500, 0.500, 0.500]]
}

=====

{
  "formula": "UTc2Bi",
  "functional": "PBE",
  "state": "optimized geometry",
  "space_group": "P4/mmm, No. 123",
  "formation_energy_kj_per_mol_fu": 68,
  "total_energy_ev_per_atom": -8.8001,
  "lattice_angstrom": [[4.615, 0.000, 0.000], [0.000, 4.615, 0.000], [0.000, 0.000, 3.585]],
  "species": ["U", "Tc", "Tc", "Bi"],
  "frac_coords": [[0.000, 0.000, 0.000], [0.000, 0.500, 0.500], [0.500, 0.000, 0.500], [0.500, 0.500, 0.000]]
}

=====

no.,magnetization (μB per formula unit)
1,5.0
2,6.0
3,0.8


No. 1
Below is a relaxed structure of SmDy2Ho5Th, with properties calculated at the PBE-GGA level.

## Properties
The calculation puts the spin magnetization at 0.00 μB per formula unit. The calculation puts the energy of formation from the pure elements at 2.8 eV/f.u. The calculation puts the raw total energy at -82.769 eV for the cell shown. Its calculated volume is 31.9 Å³ per atom.

```
18
Lattice="-4.384 4.384 7.474 4.384 -4.384 7.474 4.384 4.384 -7.474" Properties=species:S:1:pos:R:3 pbc="T T T"
Sm 4.384 0.000 3.737
Sm 0.000 4.384 3.737
Dy 5.387 1.003 0.000
Dy 1.003 3.380 0.000
Dy 3.380 1.003 7.474
Dy -1.003 3.380 7.474
Ho 0.000 0.000 0.000
Ho 2.557 1.827 -2.037
Ho 2.557 -1.827 5.437
Ho 2.557 1.827 2.037
Ho 2.557 -1.827 9.511
Ho 0.000 0.000 7.474
Ho 1.827 6.210 -2.037
Ho 1.827 2.557 5.437
Ho 1.827 6.210 2.037
Ho 1.827 2.557 9.511
Th 0.000 0.000 3.737
Th 0.000 0.000 11.211
```



No. 2
Below is a relaxed structure of SmDy6Ho2Th, with properties calculated at the PBE-GGA level.

## Properties
The calculation puts the spin magnetization at 0.00 μB per formula unit. The calculation puts the energy of formation from the pure elements at 1.5 eV/f.u. The calculation puts the raw total energy at -94.907 eV for the cell shown. Its calculated volume is 32.3 Å³ per atom.

```
20
Lattice="4.557 -7.462 0.000 4.557 7.462 0.000 -1.273 0.000 9.502" Properties=species:S:1:pos:R:3 pbc="T T T"
Sm 3.602 7.092 7.127
Sm 4.238 -7.092 2.376
Dy 1.838 4.095 6.502
Dy 3.886 4.682 0.562
Dy 4.591 4.682 4.189
Dy 2.545 1.574 8.376
Dy 5.366 4.095 7.752
Dy 4.659 1.574 5.877
Dy 3.181 -1.574 3.625
Dy 2.475 -4.095 1.751
Dy 5.296 -1.574 1.126
Dy 3.249 -4.682 5.313
Dy 3.955 -4.682 8.941
Dy 6.002 -4.095 3.001
Ho 1.535 0.765 5.191
Ho 2.171 -0.765 0.440
Ho 5.669 0.765 9.062
Ho 6.306 -0.765 4.311
Th 4.238 1.399 2.376
Th 3.602 -1.399 7.127
```



No. 3
Below is a relaxed structure of Sm5DyHo2Th, with properties calculated at the PBE-GGA level.

## Properties

[Result]
Dy 4.659 1.574 5.877
Dy 3.181 -1.574 3.625
Dy 2.475 -4.095 1.751
Dy 5.296 -1.574 1.126
Dy 3.249 -4.682 5.313
Dy 3.955 -4.682 8.941
Dy 6.002 -4.095 3.001
Ho 1.535 0.765 5.191
Ho 2.171 -0.765 0.440
Ho 5.669 0.765 9.062
Ho 6.306 -0.765 4.311
Th 4.238 1.399 2.376
Th 3.602 -1.399 7.127